**Input**
┌──
Diffraction record for Na5B7C3. The powder XRD pattern is computed, not measured: it uses a cell relaxed with PBE and copper Kα.

Structural model:
```
Na5B7C3
1.0
8.952 -1.415 0.000
8.952 1.415 0.000
-5.303 0.000 12.308
Na B C
10 14 6
direct
0.000 0.000 0.000 Na
0.001 0.001 0.494 Na
0.201 0.201 0.395 Na
0.204 0.204 0.897 Na
0.400 0.400 0.797 Na
0.402 0.402 0.296 Na
0.600 0.600 0.199 Na
0.602 0.602 0.695 Na
0.801 0.801 0.594 Na
0.802 0.802 0.098 Na
0.035 0.035 0.816 B
0.041 0.041 0.324 B
0.171 0.171 0.088 B
0.229 0.229 0.699 B
0.360 0.360 0.463 B
0.429 0.429 0.598 B
0.431 0.431 0.107 B
0.579 0.579 0.904 B
0.636 0.636 0.512 B
0.765 0.765 0.275 B
0.769 0.769 0.781 B
0.837 0.837 0.918 B
0.971 0.971 0.186 B
0.972 0.972 0.686 B
0.167 0.167 0.575 C
0.234 0.234 0.212 C
0.368 0.368 0.982 C
0.572 0.572 0.385 C
0.639 0.639 0.023 C
0.829 0.829 0.401 C
```

Top 10 peaks for 10 to 90 degrees two-theta, in order of rising 2θ:
2θ (°)	Rel. int.
34.9	8
36.3	12
41.0	36
42.1	100
56.8	7
63.5	12
76.9	6
79.3	6
80.7	7
81.5	6

Diffraction record for Li2YSnO4. The powder XRD pattern is computed, not measured: it uses a cell relaxed with PBE and copper Kα.

Structural model:
```
Li2YSnO4
1.0
4.487 0.000 0.000
0.000 4.487 0.000
0.000 0.000 10.065
Li Y Sn O
4 2 2 8
direct
0.000 0.000 0.000 Li
0.000 0.500 0.250 Li
0.500 0.000 0.750 Li
0.500 0.500 0.500 Li
0.000 0.500 0.750 Y
0.500 0.000 0.250 Y
0.000 0.000 0.500 Sn
0.500 0.500 0.000 Sn
0.000 0.000 0.268 O
0.000 0.000 0.732 O
0.000 0.500 0.516 O
0.000 0.500 0.984 O
0.500 0.000 0.016 O
0.500 0.000 0.484 O
0.500 0.500 0.232 O
0.500 0.500 0.768 O
```

Top 10 peaks for 10 to 90 degrees two-theta, in order of rising 2θ:
2θ (°)	Rel. int.
21.7	100
33.4	62
35.7	25
40.2	37
46.1	28
49.6	14
53.2	14
54.8	27
68.7	15
70.1	13

Diffraction record for Cu2TePd4. The powder XRD pattern is computed, not measured: it uses a cell relaxed with PBE and copper Kα.

Structural model:
```
Cu2TePd4
1.0
-3.999 3.999 3.586
3.999 -3.999 3.586
3.999 3.999 -3.586
Cu Te Pd
4 2 8
direct
0.375 0.025 0.150 Cu
0.775 0.125 0.150 Cu
0.875 0.225 0.850 Cu
0.975 0.625 0.850 Cu
0.250 0.750 0.500 Te
0.500 0.500 0.000 Te
0.104 0.368 0.608 Pd
0.118 0.010 0.764 Pd
0.246 0.354 0.236 Pd
0.504 0.240 0.608 Pd
0.632 0.896 0.392 Pd
0.646 0.754 0.764 Pd
0.760 0.496 0.392 Pd
0.990 0.882 0.236 Pd
```

Top 10 peaks for 10 to 90 degrees two-theta, in order of rising 2θ:
2θ (°)	Rel. int.
15.7	15
35.5	17
35.9	87
39.3	80
40.6	16
42.7	84
43.8	100
48.6	21
63.6	15
75.0	18

Diffraction record for Tl2RePb2O6. The powder XRD pattern is computed, not measured: it uses a cell relaxed with PBE and copper Kα.

Structural model:
```
Tl2RePb2O6
1.0
3.250 -5.120 0.000
3.250 5.120 0.000
-1.545 0.000 6.358
Tl Re Pb O
2 1 2 6
direct
0.171 0.829 0.000 Tl
0.829 0.171 0.000 Tl
0.000 0.000 0.500 Re
0.335 0.665 0.500 Pb
0.665 0.335 0.500 Pb
0.038 0.319 0.655 O
0.169 0.169 0.292 O
0.319 0.038 0.655 O
0.681 0.962 0.345 O
0.831 0.831 0.708 O
0.962 0.681 0.345 O
```

Top 10 peaks for 10 to 90 degrees two-theta, in order of rising 2θ:
2θ (°)	Rel. int.
13.9	23
28.1	67
28.3	65
31.5	93
34.4	100
35.0	50
49.8	33
50.0	35
55.8	24
56.1	23

Copy entry 1 word for word.
Diffraction record for Na5B7C3. The powder XRD pattern is computed, not measured: it uses a cell relaxed with PBE and copper Kα.

Structural model:
```
Na5B7C3
1.0
8.952 -1.415 0.000
8.952 1.415 0.000
-5.303 0.000 12.308
Na B C
10 14 6
direct
0.000 0.000 0.000 Na
0.001 0.001 0.494 Na
0.201 0.201 0.395 Na
0.204 0.204 0.897 Na
0.400 0.400 0.797 Na
0.402 0.402 0.296 Na
0.600 0.600 0.199 Na
0.602 0.602 0.695 Na
0.801 0.801 0.594 Na
0.802 0.802 0.098 Na
0.035 0.035 0.816 B
0.041 0.041 0.324 B
0.171 0.171 0.088 B
0.229 0.229 0.699 B
0.360 0.360 0.463 B
0.429 0.429 0.598 B
0.431 0.431 0.107 B
0.579 0.579 0.904 B
0.636 0.636 0.512 B
0.765 0.765 0.275 B
0.769 0.769 0.781 B
0.837 0.837 0.918 B
0.971 0.971 0.186 B
0.972 0.972 0.686 B
0.167 0.167 0.575 C
0.234 0.234 0.212 C
0.368 0.368 0.982 C
0.572 0.572 0.385 C
0.639 0.639 0.023 C
└──

**Work order**
Now filter the notes earlier on: keep the lines with the word "copper".

**Completed**
Diffraction record for Na5B7C3. The powder XRD pattern is computed, not measured: it uses a cell relaxed with PBE and copper Kα.
Diffraction record for Li2YSnO4. The powder XRD pattern is computed, not measured: it uses a cell relaxed with PBE and copper Kα.
Diffraction record for Cu2TePd4. The powder XRD pattern is computed, not measured: it uses a cell relaxed with PBE and copper Kα.
Diffraction record for Tl2RePb2O6. The powder XRD pattern is computed, not measured: it uses a cell relaxed with PBE and copper Kα.
Diffraction record for Na5B7C3. The powder XRD pattern is computed, not measured: it uses a cell relaxed with PBE and copper Kα.